Data:
'''
Tb3CrSe6 | the Materials Project database | r²SCAN | optimized geometry; DFT formation energy = -1846 meV per atom; magnetization = 3.0 μB per formula unit; E_tot = -213.1 eV/f.u.
1.0
-3.0675 0.6564 -2.3814
8.1969 -2.0064 -11.1114
-3.6872 -16.3726 0.2365
Tb Cr Se
12 4 24
Direct
0.0000 0.3196 0.1481
0.0000 0.6804 0.8519
0.5000 0.8196 0.3519
0.5000 0.1804 0.6481
0.0000 0.5512 0.2778
0.0000 0.4488 0.7222
0.5000 0.0512 0.2222
0.5000 0.9488 0.7778
0.0000 0.7572 0.0968
0.0000 0.2428 0.9032
0.5000 0.2572 0.4032
0.5000 0.7428 0.5968
0.0000 0.0000 0.5000
0.5000 0.5000 0.0000
0.0000 0.0000 0.0000
0.5000 0.5000 0.5000
0.0000 0.1028 0.7543
0.0000 0.8972 0.2457
0.5000 0.6028 0.7457
0.5000 0.3972 0.2543
0.0000 0.1207 0.1091
0.0000 0.8793 0.8909
0.5000 0.6207 0.3909
0.5000 0.3793 0.6091
0.0000 0.1904 0.2902
0.0000 0.8096 0.7098
0.5000 0.6904 0.2098
0.5000 0.3096 0.7902
0.0000 0.1807 0.5206
0.0000 0.8193 0.4794
0.5000 0.6807 0.9794
0.5000 0.3193 0.0206
0.0000 0.4180 0.4235
0.0000 0.5820 0.5765
0.5000 0.9180 0.0765
0.5000 0.0820 0.9235
0.0000 0.5228 0.0979
0.0000 0.4772 0.9021
0.5000 0.0228 0.4021
0.5000 0.9772 0.5979

***

MgO | the Materials Project database | r²SCAN | optimized geometry; DFT formation energy = -2901 meV per atom; magnetization = 0.0 μB per formula unit; E_tot = -15.9 eV/f.u.
1.0
9.8244 -4.8559 -2.7724
10.4821 -1.7195 3.8669
-11.2992 -0.2044 -0.2656
Mg O
12 12
Direct
0.8803 0.5475 0.3328
0.1197 0.4525 0.6672
0.7853 0.9525 0.8328
0.2147 0.0475 0.1672
0.0439 0.7095 0.3344
0.9561 0.2905 0.6656
0.6249 0.7905 0.8344
0.3751 0.2095 0.1656
0.7932 0.1283 0.6649
0.2068 0.8717 0.3351
0.5367 0.3717 0.1649
0.4633 0.6283 0.8351
0.7939 0.6283 0.1655
0.2061 0.3717 0.8345
0.5372 0.8717 0.6655
0.4628 0.1283 0.3345
0.8763 0.0476 0.8287
0.1237 0.9524 0.1713
0.7812 0.4524 0.3287
0.2188 0.5476 0.6713
0.0437 0.2094 0.8343
0.9563 0.7906 0.1657
0.6249 0.2906 0.3343
0.3751 0.7094 0.6657

***
'''

What to do:
Next, work out how many lines above have the word "unit" in them; a number is enough.

Done:
2